Input >
Entry 1:
# PBE KY2Au, relaxed
# * energy relative to the elements: -0.1892 eV per atom
# * crystal system: tetragonal
# * SG: P4/mmm, No. 123
data_KY2Au
_cell_length_a 3.619
_cell_length_b 3.619
_cell_length_c 10.597
_cell_angle_alpha 90.00
_cell_angle_beta 90.00
_cell_angle_gamma 90.03
_space_group_name_H-M_alt 'P 1'
_space_group_IT_number 1
loop_
_space_group_symop_operation_xyz
'x,y,z'
loop_
_atom_site_label
_atom_site_type_symbol
_atom_site_fract_x
_atom_site_fract_y
_atom_site_fract_z
_atom_site_occupancy
Au1 Au 0.500 0.500 0.250 1
K1 K 0.500 0.500 0.750 1
Y1 Y 0.000 0.000 0.089 1
Y2 Y 0.000 0.000 0.411 1



Entry 2:
# PBE TaCdCu2, relaxed
# * energy relative to the elements: 0.2426 eV per atom
# * crystal system: monoclinic
# * SG: Cm, No. 8
data_TaCdCu2
_cell_length_a 5.160
_cell_length_b 5.160
_cell_length_c 4.863
_cell_angle_alpha 73.67
_cell_angle_beta 73.67
_cell_angle_gamma 30.47
_space_group_name_H-M_alt 'P 1'
_space_group_IT_number 1
loop_
_space_group_symop_operation_xyz
'x,y,z'
loop_
_atom_site_label
_atom_site_type_symbol
_atom_site_fract_x
_atom_site_fract_y
_atom_site_fract_z
_atom_site_occupancy
Cd1 Cd 0.265 0.265 0.195 1
Cu1 Cu 0.024 0.024 0.033 1
Cu2 Cu 0.730 0.730 0.712 1
Ta1 Ta 0.481 0.481 0.560 1



Entry 3:
# PBE OsRu3, relaxed
# * energy relative to the elements: 0.1028 eV per atom
# * crystal system: cubic
# * SG: Pm-3m, No. 221
data_OsRu3
_cell_length_a 3.829
_cell_length_b 3.829
_cell_length_c 3.829
_cell_angle_alpha 90.00
_cell_angle_beta 90.00
_cell_angle_gamma 90.00
_space_group_name_H-M_alt 'P 1'
_space_group_IT_number 1
loop_
_space_group_symop_operation_xyz
'x,y,z'
loop_
_atom_site_label
_atom_site_type_symbol
_atom_site_fract_x
_atom_site_fract_y
_atom_site_fract_z
_atom_site_occupancy
Os1 Os 0.000 0.000 0.000 1
Ru1 Ru 0.000 0.500 0.500 1
Ru2 Ru 0.500 0.000 0.500 1
Ru3 Ru 0.500 0.500 0.000 1



no.,calculated volume (Å³ per cell),total moment (μB/cell)
1,138.8,0.00
2,62.8,0.00
3,56.1,0.00


No. 1
TiV2Tc: relaxed, PBE.

Results
electronic total energy: -72.37 eV/cell
total magnetization: 0.0 μB per formula unit
Fermi-level density of states: 11.12 states/eV per cell

Geometry as POSCAR:
```
TiV2Tc
1.0
4.3222 -0.5140 0.0000
0.7002 5.8890 0.0000
2.1611 -0.2570 4.7164
Ti Tc V
2 2 4
Direct
0.9118 0.2500 0.1764
0.0882 0.7500 0.8236
0.8207 0.7500 0.3587
0.1793 0.2500 0.6413
0.6327 0.4679 0.7346
0.6327 0.0321 0.7346
0.3673 0.9679 0.2654
0.3673 0.5321 0.2654
```


No. 2
KCaAlTe3: relaxed, PBE.

Results
total magnetization: 0.0 μB per formula unit
ΔE_f (raw): -1063 meV per atom

Geometry as POSCAR:
```
KCaAlTe3
1.0
-1.5742 -1.5049 3.8265
8.1079 1.3052 1.3158
-2.4315 11.5382 3.5376
K Al Te Ca
2 2 6 2
Direct
0.2483 0.4967 0.2500
0.7517 0.5033 0.7500
0.5407 0.0814 0.2500
0.4593 0.9186 0.7500
0.0646 0.1292 0.7500
0.3698 0.7396 0.5742
0.6302 0.2604 0.0742
0.9354 0.8708 0.2500
0.3698 0.7396 0.9258
0.6302 0.2604 0.4258
0.0000 0.0000 0.0000
0.0000 0.0000 0.5000
```


No. 3
FeIr2W: relaxed, PBE.

Results
relative energy among the computed polymorphs: 29 meV/atom
total magnetization: 2.6 μB per formula unit
Fermi-level density of states: 3.01 states/eV per cell

Geometry as POSCAR:
```
FeIr2W
1.0
-1.6475 1.6168 1.5222
-2.8545 -2.4058 -0.5343
1.4742 -2.7528 4.5195
W Fe Ir
1 1 2
Direct
0.5000 0.5000 0.2500
0.5000 0.5000 0.7500
0.0000 0.0000 0.5081
0.0000 0.0000 0.9919
```
Activity >
What is needed: find the line further above that holds "_cell_length_a 3.829", then write out that line and all lines after it there.
Result >
_cell_length_a 3.829
_cell_length_b 3.829
_cell_length_c 3.829
_cell_angle_alpha 90.00
_cell_angle_beta 90.00
_cell_angle_gamma 90.00
_space_group_name_H-M_alt 'P 1'
_space_group_IT_number 1
loop_
_space_group_symop_operation_xyz
'x,y,z'
loop_
_atom_site_label
_atom_site_type_symbol
_atom_site_fract_x
_atom_site_fract_y
_atom_site_fract_z
_atom_site_occupancy
Os1 Os 0.000 0.000 0.000 1
Ru1 Ru 0.000 0.500 0.500 1
Ru2 Ru 0.500 0.000 0.500 1
Ru3 Ru 0.500 0.500 0.000 1



no.,calculated volume (Å³ per cell),total moment (μB/cell)
1,138.8,0.00
2,62.8,0.00
3,56.1,0.00


No. 1
TiV2Tc: relaxed, PBE.

Results
electronic total energy: -72.37 eV/cell
total magnetization: 0.0 μB per formula unit
Fermi-level density of states: 11.12 states/eV per cell

Geometry as POSCAR:
```
TiV2Tc
1.0
4.3222 -0.5140 0.0000
0.7002 5.8890 0.0000
2.1611 -0.2570 4.7164
Ti Tc V
2 2 4
Direct
0.9118 0.2500 0.1764
0.0882 0.7500 0.8236
0.8207 0.7500 0.3587
0.1793 0.2500 0.6413
0.6327 0.4679 0.7346
0.6327 0.0321 0.7346
0.3673 0.9679 0.2654
0.3673 0.5321 0.2654
```


No. 2
KCaAlTe3: relaxed, PBE.

Results
total magnetization: 0.0 μB per formula unit
ΔE_f (raw): -1063 meV per atom

Geometry as POSCAR:
```
KCaAlTe3
1.0
-1.5742 -1.5049 3.8265
8.1079 1.3052 1.3158
-2.4315 11.5382 3.5376
K Al Te Ca
2 2 6 2
Direct
0.2483 0.4967 0.2500
0.7517 0.5033 0.7500
0.5407 0.0814 0.2500
0.4593 0.9186 0.7500
0.0646 0.1292 0.7500
0.3698 0.7396 0.5742
0.6302 0.2604 0.0742
0.9354 0.8708 0.2500
0.3698 0.7396 0.9258
0.6302 0.2604 0.4258
0.0000 0.0000 0.0000
0.0000 0.0000 0.5000
```


No. 3
FeIr2W: relaxed, PBE.

Results
relative energy among the computed polymorphs: 29 meV/atom
total magnetization: 2.6 μB per formula unit
Fermi-level density of states: 3.01 states/eV per cell

Geometry as POSCAR:
```
FeIr2W
1.0
-1.6475 1.6168 1.5222
-2.8545 -2.4058 -0.5343
1.4742 -2.7528 4.5195
W Fe Ir
1 1 2
Direct
0.5000 0.5000 0.2500
0.5000 0.5000 0.7500
0.0000 0.0000 0.5081
0.0000 0.0000 0.9919
```